About Michael Gorman
My name is Michael Gorman. I grew up in the Chicago suburbs, Connecticut, and New Hampshire, and went to college at Illinois Wesleyan. After falling in love with the Bloomington/Normal community and graduating in 2010, I decided to stay in central Illinois. I did some freelance web development work for about a year before going to work at Illinois Wesleyan full-time in 2011, and I stayed there until 2019. Over time, I started getting more involved in the community:
- In 2012, I cofounded a bicycle advocacy organization, Bike BloNo. Through this organization, we promote the bicycle for everyday transportation in the Bloomington/Normal community. I’ve served as the Treasurer since we opened our first bank account in 2013, and when we formed a Public Policy and Infrastructure team in 2015, I signed on as co-chair of that group with Mike McCurdy. My passion is on working with public officials to shape the development of bike-friendly policies (for example, I helped shepherd the adoption of Complete Streets policies in Bloomington and Normal in the summer of 2015) and guiding infrastructure plans, such as new bike lanes, bike racks, and the like to make sure they’ll be safe, useful, and beloved by the community.
- From June 2014 to April 2015, I worked with local attorney Amelia Buragas to help get her elected to the Bloomington City Council, serving as an advisor and campaign treasurer. In addition to managing the books and providing strategic advice on a near-daily basis, I also designed some campaign literature and graphics.
- From August 2014 to July 2015, I served as Chair of the Transportation and Air Quality working group for the development of the City of Bloomington’s 2035 Comprehensive Plan.
- In July 2014, I started helping Green Top Grocery to improve their website. More on Green Top later.
- In September 2015, County Board member Carlo Robustelli brought me on board as his campaign treasurer for his 2016 re-election bid. The race ended up being uncontested.
- In December 2015, Mayor Tari Renner and the Bloomington City Council unanimously voted to appoint me to a three-year term on the McLean County Regional Planning Commission board of commissioners. I loved working with MCRPC staff on the Bloomington Comprehensive Plan, so this was a natural next step. In this role, I continue to work with and support MCRPC staff as they work to plan the future of our community’s major infrastructure and land use.
- In May 2016, I was voted on to the Green Top Grocery board of directors. Green Top is our community’s only cooperative grocery store, at the time slated to open its doors about a year later. Shortly before I joined the board, the organization’s first General Manager had been hired, so the board was transitioning from a very active working board to a more mature oversight team for the GM and his staff.
- In October 2016, I was voted on to the board of the Ecology Action Center, the community’s main environmental nonprofit. From government contracts to help oversee Bloomington and Normal’s solid waste programs, to radon awareness programs, and from DIY rain barrel workshops to group-buy programs for solar panels, the EAC performs a bevy of key projects to promote sustainability in our community.
- In January 2017, I briefly joined the staff of Ride Illinois on a part-time basis to provide technical assistance on a few of their key projects. Ride Illinois, formerly known as the League of Illinois Bicyclists, is the statewide bicycle advocacy organization, dedicated to improving bicycling conditions throughout the state. They advocate for all Illinois bicyclists, promoting bicycle access, education, and safety.
I am currently getting a Masters in Public Policy from the University of Chicago’s Harris School of Public Policy. I hope to work in transportation policy after completing my degree in June 2021. My long-term goal is to help realign the incentives for policymakers, planners, and engineers, to make the transportation system more equitable and sustainable.
== Records of crystals that have nothing to do with the piece ==
This record from the Materials Project describes a geometry-optimized Na3ErCl6 structure. The functional is PBE.

Lattice parameters (Å, degrees): 7.303 6.910 12.309 56.43 90.00 90.00
Atoms (fractional coordinates):
Na (0.000, 0.500, 0.500)
Na (0.500, 0.500, 0.000)
Na (0.925, 0.718, 0.758)
Na (0.425, 0.282, 0.742)
Na (0.075, 0.282, 0.242)
Na (0.575, 0.718, 0.258)
Er (0.000, 0.000, 0.000)
Er (0.500, 0.000, 0.500)
Cl (0.064, 0.100, 0.763)
Cl (0.197, 0.754, 0.578)
Cl (0.936, 0.900, 0.237)
Cl (0.564, 0.900, 0.737)
Cl (0.678, 0.623, 0.565)
Cl (0.436, 0.100, 0.263)
Cl (0.178, 0.377, 0.935)
Cl (0.803, 0.246, 0.422)
Cl (0.822, 0.623, 0.065)
Cl (0.322, 0.377, 0.435)
Cl (0.303, 0.754, 0.078)
Cl (0.697, 0.246, 0.922)

## Properties
- Energy relative to the elements: -2366 meV per atom
- Corrected total energy (MP2020 scheme): -43.29 eV/f.u.
- V: 517.6 Å³ per cell

* * * * *

The following is a PBE calculation of a relaxed Tb5Mg24 crystal, from Materials Project.

Structure (CIF):
```
data_Tb5Mg24
_chemical_formula_sum 'Tb10 Mg48'
_symmetry_space_group_name_H-M 'I -4 3 m'
_symmetry_Int_Tables_number 217
_symmetry_space_group_name_Hall 'I -4 2 3'
_cell_length_a 11.285
_cell_length_b 11.285
_cell_length_c 11.285
_cell_angle_alpha 90.00
_cell_angle_beta 90.00
_cell_angle_gamma 90.00
loop_
_atom_site_label
_atom_site_type_symbol
_atom_site_fract_x
_atom_site_fract_y
_atom_site_fract_z
Tb1 Tb 0.000 0.000 0.000
Tb2 Tb 0.186 0.186 0.186
Mg1 Mg 0.033 0.358 0.642
Mg2 Mg 0.090 0.090 0.720
```


# Na6Y5Nb3Si6S6O48, optimized geometry, DFT PBE
data_Na6Y5Nb3Si6S6O48
_chemical_formula_sum 'Na18 Y15 Nb9 Si18 S18 O144'
_symmetry_space_group_name_H-M 'P 1'
_symmetry_Int_Tables_number 1
_cell_length_a 9.196
_cell_length_b 15.928
_cell_length_c 23.557
_cell_angle_alpha 90.12
_cell_angle_beta 90.41
_cell_angle_gamma 90.09
loop_
_symmetry_equiv_pos_as_xyz
'x,y,z'
loop_
_atom_site_label
_atom_site_type_symbol
_atom_site_fract_x
_atom_site_fract_y
_atom_site_fract_z
Na1 Na 0.000 0.000 0.000
Na2 Na 0.001 0.669 0.156
Na3 Na 0.005 0.994 0.491
Na4 Na 0.010 0.351 0.329
Na5 Na 0.016 0.665 0.652
Na6 Na 0.138 0.169 0.411
Na7 Na 0.188 0.844 0.408
Na8 Na 0.481 0.501 0.989
Na9 Na 0.489 0.180 0.656
Na10 Na 0.494 0.163 0.146
Na11 Na 0.496 0.492 0.486
Na12 Na 0.502 0.839 0.328
Na13 Na 0.503 0.833 0.831
Na14 Na 0.630 0.669 0.404
Na15 Na 0.683 0.354 0.414
Na16 Na 0.794 0.845 0.912
Na17 Na 0.837 0.171 0.911
Na18 Na 0.985 0.340 0.820
Y1 Y 0.000 0.337 0.472
Y2 Y 0.000 0.997 0.633
Y3 Y 0.489 0.498 0.344
Y4 Y 0.490 0.499 0.134
Y5 Y 0.493 0.163 0.302
Y6 Y 0.493 0.832 0.971
Y7 Y 0.493 0.839 0.470
Y8 Y 0.494 0.493 0.637
Y9 Y 0.496 0.169 0.803
Y10 Y 0.991 0.000 0.842
Y11 Y 0.994 0.663 0.800
Y12 Y 0.995 0.664 0.305
Y13 Y 0.995 0.994 0.342
Y14 Y 0.997 0.334 0.970
Y15 Y 0.997 0.997 0.133
Nb1 Nb 0.003 0.327 0.669
Nb2 Nb 0.004 0.326 0.167
Nb3 Nb 0.006 0.668 0.502
Nb4 Nb 0.479 0.173 0.512
Nb5 Nb 0.479 0.823 0.673
Nb6 Nb 0.490 0.497 0.841
Nb7 Nb 0.492 0.832 0.162
Nb8 Nb 0.512 0.168 0.011
Want to get in touch? Send me an email – [email protected] – or reach out via Facebook Messenger.